-- Brief --
Next, quote the whole of the contents further down with every line break kept.

-- Data --
~~~
Computed, not measured: a geometry-optimized K3HgPd structure at the PBE level of DFT.

```
K3HgPd
1.0
6.1952 0.0000 0.0000
0.0000 6.1952 0.0000
0.0000 0.0000 6.1952
K Hg Pd
3 1 1
Cartesian
0.0000 0.0000 3.0976
0.0000 3.0976 0.0000
3.0976 0.0000 0.0000
3.0976 3.0976 3.0976
0.0000 0.0000 0.0000
```

Calculated values
energy above the most stable polymorph in this dataset	141.0	meV/atom
energy of formation	0.034	eV per atom
SG	Pm-3m, No. 221
raw total energy	-1.7230	eV/atom
Fermi-level density of states	4.48	states/eV/f.u.
~~~

-- Here it is --
Computed, not measured: a geometry-optimized K3HgPd structure at the PBE level of DFT.

```
K3HgPd
1.0
6.1952 0.0000 0.0000
0.0000 6.1952 0.0000
0.0000 0.0000 6.1952
K Hg Pd
3 1 1
Cartesian
0.0000 0.0000 3.0976
0.0000 3.0976 0.0000
3.0976 0.0000 0.0000
3.0976 3.0976 3.0976
0.0000 0.0000 0.0000
```

Calculated values
energy above the most stable polymorph in this dataset	141.0	meV/atom
energy of formation	0.034	eV per atom
SG	Pm-3m, No. 221
raw total energy	-1.7230	eV/atom
Fermi-level density of states	4.48	states/eV/f.u.